Introduction: Just a LED
Data records that have nothing to do with the text:
Here is a molecular structure, C7H12N2O3 in a non-equilibrium geometry from OMol25. Energies are from ωB97M-V/def2-TZVPD.

For the orbital gap, the calculation gives 9.5 eV. For the strongest force on any atom, the calculation gives 6.0 eV Å⁻¹. As for the spin multiplicity: 1. As for the energy relative to the best compared isomer or geometry (same formula, charge and spin): 5.0496 eV.

XYZ file:
```
24
Properties=species:S:1:pos:R:3:forces:R:3:nbo_charge:R:1
H 3.054007 -2.332302 -1.215199 -3.611 -1.894 1.094 0.363
C -0.999057 0.924502 -0.606494 1.856 0.765 0.891 -0.171
C -1.098783 0.762749 1.778701 0.212 1.767 1.875 -0.450
H -1.865042 0.822566 2.486265 -0.655 0.775 2.198 0.205
C 0.136312 1.920386 -1.129031 2.719 -4.337 2.297 0.796
N -0.191041 -0.157416 0.137254 -0.693 -1.970 -3.088 -0.490
N 2.080950 -2.811390 -0.797764 3.531 -1.207 -4.660 -0.828
H -2.937657 1.397237 0.408349 2.314 0.285 0.668 0.233
H 0.960331 -2.368162 0.932804 -0.068 -0.134 -0.981 0.176
C -0.884674 -0.667720 1.512320 -0.772 -2.451 -4.487 -0.182
O 1.272248 1.794491 -0.679359 -1.086 1.001 0.685 -0.632
H 2.342538 -1.435886 0.668332 -0.193 0.484 -0.398 0.215
H 0.919975 2.837940 -2.505661 -1.661 -0.519 0.615 0.513
O 0.721224 -0.702095 -1.946381 -0.066 -0.187 1.019 -0.620
H 0.012497 1.184956 2.106507 -3.305 -0.581 -0.803 0.243
H -0.224489 -1.415547 2.135264 -1.133 2.273 -1.201 0.251
H -1.620062 0.572377 -1.445176 0.458 -0.016 0.322 0.239
H -1.498665 2.770591 0.950646 -1.115 -3.581 -2.085 0.233
O -0.004191 2.523744 -2.230980 -0.369 2.575 -3.405 -0.650
C 1.543286 -1.922200 0.093462 -1.755 2.396 0.672 -0.309
H 1.420616 -2.949715 -1.655430 1.831 0.430 1.975 0.377
C 0.645698 -0.870335 -0.743056 -0.150 -0.421 3.013 0.710
C -1.779364 1.538436 0.534134 0.360 2.031 2.874 -0.398
H -2.006658 -1.417207 1.210492 3.352 2.517 0.909 0.177
```
Positions in Å, forces in eV/Å.



Here is 3 unconnected molecules or ions with the total composition C33H63BrClN6O9PS in a non-equilibrium geometry from OMol25. Energies are from ωB97M-V/def2-TZVPD.

For the orbital gap (alpha / beta), the calculation gives 6.7 / 8.1 eV. For the strongest force on any atom, the calculation gives 9.5 eV Å⁻¹. As for the spin multiplicity: 3. As for the expectation value of S²: 3.016.

XYZ file:
```
115
Properties=species:S:1:pos:R:3:forces:R:3:mulliken_spin:R:1
O -0.393819 2.318813 -2.684064 1.230 1.955 -2.916 0.609
H 0.824500 -4.528054 0.224986 1.621 1.096 0.155 0.001
C 2.061418 -6.808609 1.159186 -0.957 -1.802 0.998 0.001
H -7.714139 2.837313 0.883422 0.242 0.226 -0.081 -0.002
H 4.318594 -4.621080 -1.025160 0.663 1.726 1.890 0.063
H -6.903080 2.157537 -0.515846 0.172 0.199 0.041 0.000
H -1.839311 4.879165 -5.991717 0.061 -0.118 0.350 0.001
H 2.033959 -1.172834 5.032066 -0.926 -0.635 -1.050 0.000
H 0.284360 -7.324915 2.675296 1.016 -0.651 -1.730 0.000
Cl 4.909852 0.746192 0.697148 -2.024 -0.769 0.334 0.005
C -0.912026 4.747052 -5.421322 0.259 0.145 -0.178 0.008
C 1.981043 4.645586 -4.316246 -0.174 0.203 -0.211 0.005
End of the data records:
This Instructable is sequel to simple LEDs for Breadboards posting in February that solicited a comment like “What can possibly be new about LEDs and breadboards”. A discussion ensued on why presenting mundane, not necessarily new things is often entertaining, for the author as the reader. The point was never resolved but raised the question whether there could possibly be even a more simple presentation of an LED to bolster the argument.
Admittedly a LED is not intrinsically very exciting but does enjoy a certain celebrity status in the Arduino Land. If a sketch were music the “Blink” would be a leading music of the genre.
Finally the inspiration for a simpler presentation surfaced. While performing that often-thankless task of wiring a LED “to see physical output”, the mind drifted over the question of why no one had come up with a “Duct Tape” DIY for the Arduino’s LED appetite. Perhaps is shear desperation to avoid focusing on the task at hand, the next musing was that the “Pink Pearl” eraser used to be touted as the DIY go-to. OK, it was a musing, maybe not “DIY”. In combination for example with a telephone book (another nearly extinct specie) it was used position the slide/movie projector or it could function as a bookmark.
So the gem of an idea, marry the flash of an Arduino’s LED with something that has been eclipsed by the pop-culture icon Duct Tape.
The motivation for this Instructable was its possible enjoyment by a reader as an example of the sillier side of posting. While that remains foremost, the physical “props’ for the presentation have some appeal in the Gizmo arena. The Instructable therefore will also show the material and methods in constructing a Pink Pearl and LED apparatus for Arduino-ing.
Step 1: Material
- 1x - Pink Pearl eraser
- 2x - 680Ω Resistor 1/2W
- 1x - M-M Dupont F-F connectors (20cm)
- 1x - F-F Dupont F-F connectors (20cm)
- 2x - 5mm LED (any colour)
- 1x - Shrink-wrap black 5mm (3/16”)
- 1x - Shrink-wrap red 5mm (3/16”)
- 1x - Utility knife
- 1x - dash of quick drying glue
- 2x - drill bits, two sizes (e.g. 3/32” and 1/8”)
- Solder
- Soldering iron.
- Clamping Device
Step 2: Construction
The construction here is intended to produce two Pink Pearl-LEDs. As indicated by the Dupont connectors listed, the M-M would be applicable to the breadboard & Uno and the F-F to power supply & Nano. Obviously hybrids are possible and perhaps there is use for a breadboard & Nano or power supply & UNO.
A 1/2W resistor was chosen to handle the power/heat with the prospect this could be a problem. Although no guarantee can be suggested, heating did not seem to be a problem. For evaluation, a resistor was fitted to the channel running across the eraser, a LED with 1.6V forward voltage was connected to a 12V supply. The eraser did not warm significantly, did not smoulder or burst into flames. The inventory of 1/2W resistors available was not extensive, the 680Ω value was chosen over 470Ω although 560Ω may have been optimum.
Regardless the following are the steps taken for this posting.
- Cut the Dupont connectors in halves.
- Strip to 2-3mm of bare wire. Cut the Pink Pearl into halves. With each half drill three holes, two from the slope end, one from the side. One hole from the sloped end should be larger than the other to accommodate the resistor. The holes from the sloped end should be about the same spacing as the LED legs.
- Cut the eraser from the top edge to the drilled channel. Set aside.
- Assess the depth of the channel across the Pink Pearl and cut the anode leg but leaving enough leg so the LED body clears the eraser by 3-5mm.
- Cut one lead of the 680Ω resistor to about 5mm or to match the soldering skills.
- Solder the anode leg of the LED to the clipped lead. Clip the second lead to 5-7mm.
- Cut a length of red shrink wrap 10-15mm.
- Run half-section of Dupont connector through tube.
- Solder bare wire to resistor lead. Push shrink-wrap to resistor body, apply heat.
- Cut a length of black shrink wrap.
- Run half-section of Dupont connector through tube.
- Solder bare wire to cathode leg of LED.
- Push shrink wrap to LED body, apply heat
The LED, resistor and ½ Dupont connectors should be as seen in the image. The anode leg of the LED is bare but insulated from the cathode with the shrink-wrap. Next the soldered items must be inserted in the channels made in the eraser by:
- Form the wire/lead/legs as shown in the image.
- Push the resistor and connectors into the respective channels.
- Push the LED leg portion onto the third channels across the eraser.
- Adjust the form or remove eraser material until the LED is acceptably level and the channels can be squeezed close without distorting the eraser.
The construction can now be glued. Probably in two steps as was done for the Instructable.
- First glue the two channels closed and after curing will aid applying pressure to the seal the cut across the eraser.
- Glue and cure the cut across the eraser.
There they are, 2x Just a LED.
Step 3: Summary
This posting is probably on the mark for its intended level of banality but has had a surprising consequence.
As constructed the Gizmos were without the smell of burning synthetic rubber that was a concern. The 10x20x32mm size and naturally non-skid material actually makes each sit well although their very dimensions could also be a working space problem.
If there were to be a version 2, longer connectors would probably come to mind as an improvement but thinking this through for version 1 has been entertaining. Hopefully others feel a response, a smile or shake of the head is welcome.